_Exercise_
Transcribe every line underneath that contains the word "Space".

_File_
Compound: LiUCoN3
Source: Alexandria
Functional: PBE-GGA
Structure: optimized geometry

Properties
**Total magnetic moment**: 2.0 μB per cell
**Volume**: 167.41 Å³ per cell
**Density of states at the Fermi level**: 0.315 states/eV/atom
**ΔE_f (raw)**: -673 meV/atom

Lattice parameters (Å, degrees): 6.2720 3.4309 7.8249 90.00 96.15 90.00
Last column: nearest neighbours and their distance in Å.
Space group P2_1/m (No. 11)
Asymmetric unit:
Li 0.1421 0.2500 0.1247 [2 per cell]  1 N 2.13
U 0.3461 0.7500 0.8325 [2 per cell]  6 N 2.20-2.26
Co 0.0471 0.2500 0.6069 [2 per cell]  4 N 1.85-1.93
N 0.1306 0.2500 0.8516 [2 per cell]  1 Co 1.93, 1 Li 2.13
N 0.1648 0.7500 0.5764 [2 per cell]  3 Co 1.85-1.89
N 0.4249 0.7500 0.1213 [2 per cell]  3 U 2.24-2.26, 2 Li 2.47



Compound: LiCoWN3
Source: Alexandria
Functional: PBE-GGA
Structure: optimized geometry

Properties
**Total magnetic moment**: 0.0 μB per cell
**Volume**: 144.35 Å³ per cell
**Density of states at the Fermi level**: 0.486 states/eV/atom
**ΔE_f (raw)**: -197 meV/atom

Lattice parameters (Å, degrees): 5.9629 3.0068 8.5403 90.00 109.49 90.00
Last column: nearest neighbours and their distance in Å.
Space group P2_1/m (No. 11)
Asymmetric unit:
Li 0.0541 0.2500 0.3646 [2 per cell]  5 N 2.17-2.34
Co 0.4206 0.2500 0.8878 [2 per cell]  4 N 1.86-1.95
W 0.4520 0.7500 0.6476 [2 per cell]  6 N 2.05-2.09
N 0.2209 0.2500 0.6540 [2 per cell]  1 Co 1.95, 2 W 2.05
N 0.3267 0.7500 0.3876 [2 per cell]  3 W 2.09, 2 Li 2.17
N 0.3824 0.2500 0.0956 [2 per cell]  3 Co 1.86-1.88, 1 W 2.08



Compound: LiZnCo2N
Source: Alexandria
Functional: PBE-GGA
Structure: optimized geometry

Properties
**Total magnetic moment**: 0.9 μB per cell
**Volume**: 52.83 Å³ per cell
**Density of states at the Fermi level**: 0.577 states/eV/atom
**ΔE_f (raw)**: -204 meV/atom

Lattice parameters (Å, degrees): 3.6734 3.6734 3.9153 90.00 90.00 90.00
Last column: nearest neighbours and their distance in Å.
Space group P4/mmm (No. 123)
Asymmetric unit:
Li 0.0000 0.0000 0.0000 [1 per cell]  2 N 1.96
Zn 0.5000 0.5000 0.0000 [1 per cell]  4 Li 2.60, 8 Co 2.68
Co 0.0000 0.5000 0.5000 [2 per cell]  2 N 1.84
N 0.0000 0.0000 0.5000 [1 per cell]  4 Co 1.84, 2 Li 1.96



Compound: LiZr2CoN
Source: Alexandria
Functional: PBE-GGA
Structure: optimized geometry

Properties
**Total magnetic moment**: 0.0 μB per cell
**Volume**: 72.34 Å³ per cell
**Density of states at the Fermi level**: 0.683 states/eV/atom
**ΔE_f (raw)**: -589 meV/atom

Lattice parameters (Å, degrees): 4.4530 4.4530 3.6484 90.00 90.00 90.00
Last column: nearest neighbours and their distance in Å.
Space group P4/mmm (No. 123)
Asymmetric unit:
Li 0.0000 0.0000 0.0000 [1 per cell]  2 N 1.82
Zr 0.0000 0.5000 0.5000 [2 per cell]  2 N 2.23
Co 0.5000 0.5000 0.0000 [1 per cell]  8 Zr 2.88, 4 Li 3.15
N 0.0000 0.0000 0.5000 [1 per cell]  2 Li 1.82



Compound: NaLi3Co
Source: Alexandria
Functional: PBE-GGA
Structure: optimized geometry

Properties
**Total magnetic moment**: 1.1 μB per cell
**Formation enthalpy at 0 K**: 0.48 eV per atom
**Volume**: 111.26 Å³ per cell
**Density of states at the Fermi level**: 1.468 states/eV/atom
**Energy relative to the lowest polymorph listed for this composition**: 0.0000 eV per atom

Lattice parameters (Å, degrees): 4.8097 4.8097 4.8097 90.00 90.00 90.00
Last column: nearest neighbours and their distance in Å.
Space group Pm-3m (No. 221)
Asymmetric unit:
Na 0.0000 0.0000 0.0000 [1 per cell]  12 Li 3.40
Li 0.0000 0.5000 0.5000 [3 per cell]  2 Co 2.40
Co 0.5000 0.5000 0.5000 [1 per cell]  6 Li 2.40



Compound: Na2Li2Co
Source: Alexandria
Functional: PBE-GGA
Structure: optimized geometry

Properties
**Total magnetic moment**: 2.7 μB per cell
**Formation enthalpy at 0 K**: 0.46 eV per atom
**Volume**: 223.27 Å³ per cell
**Density of states at the Fermi level**: 0.587 states/eV/atom
**Energy relative to the lowest polymorph listed for this composition**: 0.0000 eV per atom

Lattice parameters (Å, degrees): 6.6325 6.6325 5.0754 90.00 90.00 90.00

_Written answer_
Space group P2_1/m (No. 11)
Space group P2_1/m (No. 11)
Space group P4/mmm (No. 123)
Space group P4/mmm (No. 123)
Space group Pm-3m (No. 221)